Excerpt
........
First-principles (GGA-PBE) data for a relaxed MgV4Cu2S8 crystal, as listed in the Materials Project database.

Geometry as POSCAR:
```
MgV4Cu2S8
1.0
-3.7142 3.7142 4.9348
3.7142 -3.7142 4.9348
3.7142 3.7142 -4.9348
Mg V Cu S
1 4 2 8
direct
0.0000 0.0000 0.0000
0.1413 0.4536 0.3122
0.1413 0.8291 0.6878
0.1709 0.8587 0.3122
0.5464 0.8587 0.6878
0.5000 0.5000 0.0000
0.7500 0.2500 0.5000
0.3701 0.1164 0.7463
0.3701 0.6238 0.2537
0.3744 0.1152 0.2592
0.3762 0.6299 0.7463
0.8560 0.1152 0.7408
0.8836 0.6299 0.2537
0.8848 0.1440 0.2592
0.8848 0.6256 0.7408
```

Output
Formation energy from the elements in eV/atom: -0.86
Energy with MP2020 corrections in eV for the cell shown: -92.19
Crystal system: tetragonal
V in Å³ per cell: 272.3
Density in g cm⁻³: 3.73
Space group: I-4m2, No. 119

First-principles (GGA-PBE) data for a relaxed GdGeIr crystal, as listed in the Materials Project database.

Geometry as POSCAR:
```
GdGeIr
1.0
6.9814 0.0000 0.0000
0.0000 4.3638 0.0000
0.0000 0.0000 7.6198
Gd Ge Ir
4 4 4
direct
0.0006 0.2500 0.1931
0.4994 0.7500 0.6931
0.5006 0.2500 0.3069
0.9994 0.7500 0.8069
0.2056 0.7500 0.3946
0.2944 0.2500 0.8946
0.7056 0.7500 0.1054
0.7944 0.2500 0.6054
0.1613 0.2500 0.5697
0.3387 0.7500 0.0697
0.6613 0.2500 0.9303
0.8387 0.7500 0.4303
```

Output
Formation energy from the elements in eV/atom: -0.90
Crystal system: orthorhombic
V in Å³ per cell: 232.1
Density in g cm⁻³: 12.08
Space group: Pnma, No. 62

First-principles (GGA-PBE) data for a relaxed NdTiNbBi2O9 crystal, as listed in the Materials Project database.

Geometry as POSCAR:
```
NdTiNbBi2O9
1.0
5.4785 0.0000 0.0000
0.0000 5.5127 0.0000
-2.6554 0.0000 12.6945
Nd Ti Nb Bi O
2 2 2 4 18
direct
0.2448 0.0000 0.9998
0.7552 0.5000 0.0002
0.3321 0.5296 0.1712
0.6679 0.0296 0.8288
0.1742 0.5338 0.8290
0.8258 0.0338 0.1710
0.0183 0.9759 0.6012
0.4231 0.9694 0.3986
0.5769 0.4694 0.6014
0.9817 0.4759 0.3988
0.0171 0.5441 0.6855
0.0282 0.7695 0.1236
0.0958 0.2715 0.1243
0.2449 0.7407 0.5025
0.2588 0.2418 0.5023
0.3226 0.5502 0.3090
0.3258 0.5670 0.9989
0.3696 0.8487 0.8281
0.4665 0.3432 0.8279
0.5335 0.8432 0.1721
0.6304 0.3487 0.1719
0.6742 0.0670 0.0011
0.6774 0.0502 0.6910
0.7412 0.7418 0.4977
0.7551 0.2407 0.4975
0.9042 0.7715 0.8757
0.9718 0.2695 0.8764
0.9829 0.0441 0.3145
```

Output
Formation energy from the elements in eV/atom: -2.85
Energy with MP2020 corrections in eV for the cell shown: -230.07
Crystal system: monoclinic
V in Å³ per cell: 383.4
Density in g cm⁻³: 7.34
Space group: P2_1, No. 4

First-principles (GGA-PBE) data for a relaxed La2Pr2O7 crystal, as listed in the Materials Project database.

Geometry as POSCAR:
```
La2Pr2O7
1.0
0.0000 5.7401 5.7401
5.7401 0.0000 5.7401
5.7401 5.7401 0.0000
La Pr O
4 4 14
direct
0.0000 0.0000 0.0000
0.0000 0.0000 0.5000
0.0000 0.5000 0.0000
0.5000 0.0000 0.0000
0.0000 0.5000 0.5000
0.5000 0.0000 0.5000
0.5000 0.5000 0.0000
0.5000 0.5000 0.5000
0.1250 0.1250 0.1250
0.1447 0.1447 0.6053
0.1447 0.6053 0.1447
0.1447 0.6053 0.6053
0.3947 0.3947 0.8553
0.3947 0.8553 0.3947
0.3947 0.8553 0.8553
0.6053 0.1447 0.1447
0.6053 0.1447 0.6053
0.6053 0.6053 0.1447
0.8553 0.3947 0.3947
0.8553 0.3947 0.8553
0.8553 0.8553 0.3947
0.8750 0.8750 0.8750
```

Output
Formation energy from the elements in eV/atom: -3.33
Energy with MP2020 corrections in eV for the cell shown: -181.48
Crystal system: cubic
V in Å³ per cell: 378.3
Density in g cm⁻³: 5.90
Space group: Fd-3m, No. 227

First-principles (GGA-PBE) data for a relaxed Er2PbS4 crystal, as listed in the Materials Project database.

Geometry as POSCAR:
```
Er2PbS4
1.0
12.0268 0.0000 0.0000
0.0000 3.9743 0.0000
0.0000 0.0000 14.2962
Er Pb S
8 4 16
direct
0.0630 0.2500 0.1100
0.0819 0.2500 0.5980
0.4181 0.7500 0.0980
0.4370 0.7500 0.6100
0.5630 0.2500 0.3900
0.5819 0.2500 0.9020
0.9181 0.7500 0.4020
0.9370 0.7500 0.8900
0.2374 0.2500 0.3313
0.2626 0.7500 0.8313
0.7374 0.2500 0.1687
0.7626 0.7500 0.6687
0.0236 0.7500 0.7137
0.0852 0.2500 0.9223
0.1294 0.7500 0.4709
0.2066 0.7500 0.1690
........

Request
The reader should retype the part of the calculation results earlier on that starts with the line with "0.8560 0.1152" and stops after the one with "0.9998".

Completed
0.8560 0.1152 0.7408
0.8836 0.6299 0.2537
0.8848 0.1440 0.2592
0.8848 0.6256 0.7408
```

Output
Formation energy from the elements in eV/atom: -0.86
Energy with MP2020 corrections in eV for the cell shown: -92.19
Crystal system: tetragonal
V in Å³ per cell: 272.3
Density in g cm⁻³: 3.73
Space group: I-4m2, No. 119

First-principles (GGA-PBE) data for a relaxed GdGeIr crystal, as listed in the Materials Project database.

Geometry as POSCAR:
```
GdGeIr
1.0
6.9814 0.0000 0.0000
0.0000 4.3638 0.0000
0.0000 0.0000 7.6198
Gd Ge Ir
4 4 4
direct
0.0006 0.2500 0.1931
0.4994 0.7500 0.6931
0.5006 0.2500 0.3069
0.9994 0.7500 0.8069
0.2056 0.7500 0.3946
0.2944 0.2500 0.8946
0.7056 0.7500 0.1054
0.7944 0.2500 0.6054
0.1613 0.2500 0.5697
0.3387 0.7500 0.0697
0.6613 0.2500 0.9303
0.8387 0.7500 0.4303
```

Output
Formation energy from the elements in eV/atom: -0.90
Crystal system: orthorhombic
V in Å³ per cell: 232.1
Density in g cm⁻³: 12.08
Space group: Pnma, No. 62

First-principles (GGA-PBE) data for a relaxed NdTiNbBi2O9 crystal, as listed in the Materials Project database.

Geometry as POSCAR:
```
NdTiNbBi2O9
1.0
5.4785 0.0000 0.0000
0.0000 5.5127 0.0000
-2.6554 0.0000 12.6945
Nd Ti Nb Bi O
2 2 2 4 18
direct
0.2448 0.0000 0.9998